The Biggest Industries in France
=====
Here is a geometry-optimized AcBiPt2 structure from Alexandria. Energies are from PBE.

Properties
The calculation puts the total magnetization at 0.000 μB/cell. As for the formation energy: -0.55 eV/atom. The volume is 24.43 Å³ per atom.

Unit cell a=3.756 b=3.756 c=6.927 alpha=90.00 beta=90.00 gamma=90.00
Fractional positions:
Ac1 0.000 0.000 0.000
Bi1 0.000 0.000 0.500
Pt1 0.500 0.500 0.276
Pt2 0.500 0.500 0.724

Here is a geometry-optimized AcBi4Pt2 structure from Alexandria. Energies are from PBE.

Properties
The calculation puts the total magnetization at 0.000 μB/cell. As for the formation energy: -0.45 eV/atom. The volume is 28.71 Å³ per atom.

Unit cell a=9.595 b=9.595 c=4.629 alpha=90.00 beta=90.00 gamma=151.86
Fractional positions:
Ac1 0.000 0.000 0.000
Bi1 0.162 0.838 0.500
Bi2 0.336 0.664 0.000
Bi3 0.664 0.336 0.000
Bi4 0.838 0.162 0.500
Pt1 0.428 0.572 0.500
Pt2 0.572 0.428 0.500

Here is a geometry-optimized Ac2BiPt9 structure from Alexandria. Energies are from PBE.

Properties
The calculation puts the total magnetization at 0.000 μB/cell. As for the formation energy: -0.60 eV/atom. The volume is 20.15 Å³ per atom.

Unit cell a=9.604 b=9.604 c=9.604 alpha=33.61 beta=33.61 gamma=33.61
Fractional positions:
Ac1 0.135 0.135 0.135
Ac2 0.865 0.865 0.865
Bi1 0.000 0.000 0.000
Pt1 0.081 0.586 0.586
Pt2 0.332 0.332 0.332
Pt3 0.414 0.414 0.919
Pt4 0.414 0.919 0.414
Pt5 0.500 0.500 0.500
Pt6 0.586 0.081 0.586
Pt7 0.586 0.586 0.081
Pt8 0.668 0.668 0.668
Pt9 0.919 0.414 0.414

Here is a geometry-optimized Ac3BiPt structure from Alexandria. Energies are from PBE.

Properties
The calculation puts the total magnetization at 0.000 μB/cell. The calculation puts the energy above the lowest structure with this stoichiometry at 0 meV/atom. As for the formation energy: -0.87 eV/atom. The volume is 37.16 Å³ per atom.

Unit cell a=9.123 b=4.630 c=17.599 alpha=90.00 beta=90.00 gamma=90.00
Fractional positions:
Ac1 0.010 0.250 0.097
Ac2 0.154 0.750 0.453
Ac3 0.163 0.250 0.706
Ac4 0.337 0.750 0.206
Ac5 0.346 0.250 0.953
Ac6 0.490 0.750 0.597
Ac7 0.510 0.250 0.403
Ac8 0.654 0.750 0.047
Ac9 0.663 0.250 0.794
Ac10 0.837 0.750 0.294
Ac11 0.846 0.250 0.547
Ac12 0.990 0.750 0.903
Bi1 0.126 0.250 0.300
Bi2 0.374 0.750 0.800
Bi3 0.626 0.250 0.200
Bi4 0.874 0.750 0.700
Pt1 0.212 0.750 0.042
Pt2 0.288 0.250 0.542
Pt3 0.712 0.750 0.458
Pt4 0.788 0.250 0.958

~~~~~
=====
**Here the article continues**

France is an advanced and industrialized country and has the third largest economy in Europe. With a GDP of $2.8 trillion, France has the sixth largest economy in the world, based on nominal figures. The economy currently demonstrates growth, after emerging from the financial recession of the 2008. Several industries are the major contributors to the economy, including energy, manufacturing, tourism, agriculture, technology, and transport.
One of the major industries in France is the energy sector. France’s leading electricity company, Electricite de France (EDF), is the largest utility company in the world. The energy company, which is listed on the French Stock Exchange, has the state as the majority shareholder. In 2003, 22% of the total electricity in the European Union was produced by EDF. Another key player in the energy industry is Engie, a utility company based in Courbevoie, France. Engie is the world’s largest independent utility company and is involved in a wide array of activities, including natural gas production and distribution, nuclear power, and electricity distribution. Engie became the largest solar energy company in France after acquiring Solairedirect in July 2015. Another French company, Total S.A., is among the largest oil and gas companies in the world. The company, whose headquarters are based in Paris, is also engaged in chemical manufacturing, as well as operating service stations across the world.
Energy production in France is primarily based on nuclear energy, which accounts for 78% of the country’s electricity. The increased reliance on nuclear energy enables France to boast one of the least carbon dioxide emission levels in the developed world. The future of France’s energy industry lies in renewable energy, especially since the French National Assembly passed a law in July 2015, which requires that 40% of the nation’s electricity be produced from renewable energy sources by the year 2030. The plan is an ambitious target considering that only 19.5% of France’s electricity currently comes from renewable sources.
Manufacturing and Technology
Manufacturing is among the largest industries in France, accounting for billions of dollars in the country’s GDP. The country is recognized as the fourth largest automobile manufacturer in the world and is home to two of the largest automobile manufacturers in the world: Peugeot and Renault. France is also renowned for its aerospace sector, which is dominated by Airbus, which is the world’s leading aircraft manufacturer.
Technology is another important economic pillar in the country's economy. France is ranked among the most technologically advanced countries in the world, and the country has an ideal environment for technological research and innovation. This environment has led to the growth of some of the largest technology companies in the world. For example, Publicis, a France-based company, is the third largest advertising company in the world. Sophia Antipolis, a large technology park, is the major technological hub in France. Situated in Valbonne, the technology park houses offices of many major technology companies, including Amadeus, Avanade, 3Roam, Air France, Cisco, Accenture, Broadcom, Intel, Huawei, IBM, Lionbridge, and Orange. Sophia Antipolis is also home to numerous international institutions including ETSI (European Telecommunications Standards Institute), Skema Business School and the ERCIM (European Research Consortium for Informatics and Mathematics). The technological park was established in 1984 and was named after its founder, Sophia Glikman-Toumarkine.
Transport in France is a multi-billion industry, and some of its key players are major global companies. France has one of the densest network of road and railways in the world, which interconnects the nation’s cities. The railway network in France stretches 18,580 miles, most of which is under the operation of SNCF (French National Railway Corporation). However, the largest company in France’s railway transport is Alstom, which is based in Saint-Ouen, but has operations all over the globe and has over $37 billion in assets. The French cities of Paris, Marseille, and Lyon have extensive metro systems, while Rennes, Lille, and Toulouse have light metro systems. France has one of the highest concentration of airports, with a total of 478 airports across the country. The busiest airport in the country is Charles de Gaulle Airport in Paris, which records about 60 million passengers each year, making it the fifth busiest in the world. Air France is the French national carrier, and flies to 150 destinations on all six continents of the world.
Agriculture was traditionally the primary economic activity in France prior to the Industrial Revolution in the 19th century. France is recognized as having the sixth largest agricultural production in the world, and the largest in the European Union. France is also the second largest exporter of agricultural products in the world, and is only surpassed by the United States. Huge wheat farms are located in the northern region of the country, while the southern part of France is renowned for its vineyards and horticultural products. France is the largest producer of sugar beets and the second largest producer of cheese and wine in the world. Western France is the main producing region of dairy products, poultry, apples, and pork. The vast majority of agricultural exports are destined to member states of the European Union, which receive 49% of all agricultural exports from France. The agricultural industry in France has the privilege of receiving significant support from the EU in the form of subsidies, which amount to more than $11 billion. In recent years, the industry has implemented numerous reforms as a result of international agreements including the General Agreement on Tariffs and Trade.
France is the most popular destination in the world, receiving about 85.7 million tourists each year. This massive tourist traffic also means that France is ranked fifth in the world in terms of tourist spending. The tourism industry is a key economic pillar in France, injecting over $70 billion to the country’s GDP. Of this total, 70 percent comes from domestic tourists, while the remaining 30 percent comes from international tourists. Germany is the main tourist source country for international tourists, as visitors from Germany stayed for 86.4 million nights in 2014. The industry represents 9.7% of the country’s GDP. France’s popularity to tourists is attributed to a wide array of prime tourist attractions located across the country. These attractions range from the nation’s capital, Paris, to small picturesque village towns. The Eiffel Tower in Paris is the world’s most visited paid monument, and is among the 37 UNESCO World Heritage Sites throughout France.